Activity:
Start at the top of the lines underneath and quote each line, ending with the one that has "0.2840)".
Entries:
____________
TiMnVN after structural relaxation, computed with GGA-PBE.

Cell: 2.9144 2.9144 10.6488 Å, 90.00 90.00 90.00°
Last column: nearest neighbours and their distance in Å.
Element x y z (fractional)
Mn (0.0000, 0.0000, 0.1920)  1 N 1.91
V (0.5000, 0.5000, 0.3487)  4 N 2.08
Ti (0.0000, 0.0000, 0.5612)  1 N 2.02
Mn (0.5000, 0.5000, 0.6920)  1 N 1.91
N (0.5000, 0.5000, 0.8716)  1 Mn 1.91, 1 Ti 2.02, 4 V 2.08
V (0.0000, 0.0000, 0.8487)  4 N 2.08
N (0.0000, 0.0000, 0.3716)  1 Mn 1.91, 1 Ti 2.02, 4 V 2.08
Ti (0.5000, 0.5000, 0.0612)  1 N 2.02

Results
Offset from the most stable computed form, meV/atom: 223.0
Volume, Å³ per cell: 90.4
E_form (uncorrected), eV per atom: -0.703
E_tot, eV/atom: -9.330
Magnetic moment, μB per formula unit: 0.00
Fermi-level density of states, states/eV/atom: 0.763

=====

CaTb4Au5 after structural relaxation, computed with GGA-PBE.

Cell: 3.6015 3.6015 18.3412 Å, 90.00 90.00 90.00°
Last column: nearest neighbours and their distance in Å.
Element x y z (fractional)
Au (0.5000, 0.5000, 0.1088)  4 Tb 3.05, 4 Ca 3.24
Ca (0.0000, 0.0000, 0.0000)  8 Au 3.24, 4 Ca 3.60
Tb (0.0000, 0.0000, 0.4005)  8 Au 3.13
Tb (0.0000, 0.0000, 0.5995)  8 Au 3.13
Au (0.5000, 0.5000, 0.3012)  8 Tb 3.13-3.15
Au (0.5000, 0.5000, 0.6988)  8 Tb 3.13-3.15
Au (0.5000, 0.5000, 0.8912)  4 Tb 3.05, 4 Ca 3.24
Au (0.5000, 0.5000, 0.5000)  8 Tb 3.13
Tb (0.0000, 0.0000, 0.7999)  8 Au 3.05-3.15
Tb (0.0000, 0.0000, 0.2001)  8 Au 3.05-3.15

Results
Volume, Å³ per cell: 237.9
Formation energy, eV per atom: -0.84
E_tot, eV/atom: -4.535
Magnetic moment, μB per formula unit: 0.00
Fermi-level density of states, states/eV/atom: 0.443

=====

Pm7TlRu4 after structural relaxation, computed with GGA-PBE.

Cell: 5.7568 8.4691 7.4637 Å, 76.15 67.32 70.13°
Last column: nearest neighbours and their distance in Å.
Element x y z (fractional)
Ru (0.3019, 0.3450, 0.0511)  2 Pm 2.61-2.81
Ru (0.4366, 0.7744, 0.3524)  3 Pm 2.66-2.94
Pm (0.2095, 0.1195, 0.4615)  2 Ru 2.94-3.15, 1 Pm 3.20
Tl (0.0000, 0.0000, 0.0000)  4 Pm 2.88-3.20
Pm (0.6748, 0.3721, 0.2783)  1 Ru 2.66
Pm (0.3252, 0.6279, 0.7217)  1 Ru 2.66
Pm (0.5000, 0.0000, 0.0000)  4 Ru 2.81-2.83, 2 Tl 2.88
Pm (0.7905, 0.8805, 0.5385)  2 Ru 2.94-3.15, 1 Pm 3.20
Pm (0.0803, 0.6208, 0.2185)  1 Ru 2.61
Ru (0.5634, 0.2256, 0.6476)  3 Pm 2.66-2.94
Pm (0.9197, 0.3792, 0.7815)  1 Ru 2.61
Ru (0.6981, 0.6550, 0.9489)  2 Pm 2.61-2.81

Results
Volume, Å³ per cell: 313.3
Formation energy, eV per atom: 0.00
E_tot, eV/atom: -6.057
Magnetic moment, μB per formula unit: 0.00
Fermi-level density of states, states/eV/atom: 0.816

=====

Nd3Zn4Ni2 after structural relaxation, computed with GGA-PBE.

Cell: 4.5846 5.4454 8.3368 Å, 100.07 90.00 114.90°
Last column: nearest neighbours and their distance in Å.
Element x y z (fractional)
Zn (0.7117, 0.4235, 0.0827)  1 Ni 2.46
Zn (0.2883, 0.5765, 0.9173)  1 Ni 2.46
Ni (0.3145, 0.6291, 0.6293)  4 Zn 2.46-2.51
Nd (0.6186, 0.2372, 0.6967)  4 Ni 2.92-3.12, 6 Zn 3.08-3.20
Nd (0.3814, 0.7628, 0.3033)  4 Ni 2.92-3.12, 6 Zn 3.08-3.20
Zn (0.0999, 0.1998, 0.4109)  3 Ni 2.49-2.51, 1 Zn 2.69
Zn (0.9001, 0.8002, 0.5891)  3 Ni 2.49-2.51, 1 Zn 2.69
Ni (0.6855, 0.3709, 0.3707)  4 Zn 2.46-2.51
Nd (0.0000, 0.0000, 0.0000)  8 Zn 3.06-3.38

Results
Offset from the most stable computed form, meV/atom: 20.4
Volume, Å³ per cell: 185.3
Formation energy, eV per atom: -0.32
E_tot, eV/atom: -3.763
Magnetic moment, μB per formula unit: 0.00
Fermi-level density of states, states/eV/atom: 0.643

=====

La2CeH12Rh3 after structural relaxation, computed with GGA-PBE.

Cell: 6.2453 6.2453 6.2453 Å, 64.61 64.61 64.61°
Last column: nearest neighbours and their distance in Å.
Element x y z (fractional)
H (0.1360, 0.1360, 0.5728)  1 Rh 1.71
Rh (0.0000, 0.5000, 0.0000)  6 H 1.71-1.79
Rh (0.0000, 0.0000, 0.5000)  6 H 1.71-1.79
La (0.6135, 0.6135, 0.6135)  3 H 2.29
H (0.2840, 0.8822, 0.2840)  2 Rh 1.79
H (0.7160, 0.1178, 0.7160)  2 Rh 1.79
Ce (0.0000, 0.0000, 0.0000)  6 H 2.30
H (0.2840, 0.2840, 0.8822)  2 Rh 1.79
____________
Solution:
TiMnVN after structural relaxation, computed with GGA-PBE.

Cell: 2.9144 2.9144 10.6488 Å, 90.00 90.00 90.00°
Last column: nearest neighbours and their distance in Å.
Element x y z (fractional)
Mn (0.0000, 0.0000, 0.1920)  1 N 1.91
V (0.5000, 0.5000, 0.3487)  4 N 2.08
Ti (0.0000, 0.0000, 0.5612)  1 N 2.02
Mn (0.5000, 0.5000, 0.6920)  1 N 1.91
N (0.5000, 0.5000, 0.8716)  1 Mn 1.91, 1 Ti 2.02, 4 V 2.08
V (0.0000, 0.0000, 0.8487)  4 N 2.08
N (0.0000, 0.0000, 0.3716)  1 Mn 1.91, 1 Ti 2.02, 4 V 2.08
Ti (0.5000, 0.5000, 0.0612)  1 N 2.02

Results
Offset from the most stable computed form, meV/atom: 223.0
Volume, Å³ per cell: 90.4
E_form (uncorrected), eV per atom: -0.703
E_tot, eV/atom: -9.330
Magnetic moment, μB per formula unit: 0.00
Fermi-level density of states, states/eV/atom: 0.763

=====

CaTb4Au5 after structural relaxation, computed with GGA-PBE.

Cell: 3.6015 3.6015 18.3412 Å, 90.00 90.00 90.00°
Last column: nearest neighbours and their distance in Å.
Element x y z (fractional)
Au (0.5000, 0.5000, 0.1088)  4 Tb 3.05, 4 Ca 3.24
Ca (0.0000, 0.0000, 0.0000)  8 Au 3.24, 4 Ca 3.60
Tb (0.0000, 0.0000, 0.4005)  8 Au 3.13
Tb (0.0000, 0.0000, 0.5995)  8 Au 3.13
Au (0.5000, 0.5000, 0.3012)  8 Tb 3.13-3.15
Au (0.5000, 0.5000, 0.6988)  8 Tb 3.13-3.15
Au (0.5000, 0.5000, 0.8912)  4 Tb 3.05, 4 Ca 3.24
Au (0.5000, 0.5000, 0.5000)  8 Tb 3.13
Tb (0.0000, 0.0000, 0.7999)  8 Au 3.05-3.15
Tb (0.0000, 0.0000, 0.2001)  8 Au 3.05-3.15

Results
Volume, Å³ per cell: 237.9
Formation energy, eV per atom: -0.84
E_tot, eV/atom: -4.535
Magnetic moment, μB per formula unit: 0.00
Fermi-level density of states, states/eV/atom: 0.443

=====

Pm7TlRu4 after structural relaxation, computed with GGA-PBE.

Cell: 5.7568 8.4691 7.4637 Å, 76.15 67.32 70.13°
Last column: nearest neighbours and their distance in Å.
Element x y z (fractional)
Ru (0.3019, 0.3450, 0.0511)  2 Pm 2.61-2.81
Ru (0.4366, 0.7744, 0.3524)  3 Pm 2.66-2.94
Pm (0.2095, 0.1195, 0.4615)  2 Ru 2.94-3.15, 1 Pm 3.20
Tl (0.0000, 0.0000, 0.0000)  4 Pm 2.88-3.20
Pm (0.6748, 0.3721, 0.2783)  1 Ru 2.66
Pm (0.3252, 0.6279, 0.7217)  1 Ru 2.66
Pm (0.5000, 0.0000, 0.0000)  4 Ru 2.81-2.83, 2 Tl 2.88
Pm (0.7905, 0.8805, 0.5385)  2 Ru 2.94-3.15, 1 Pm 3.20
Pm (0.0803, 0.6208, 0.2185)  1 Ru 2.61
Ru (0.5634, 0.2256, 0.6476)  3 Pm 2.66-2.94
Pm (0.9197, 0.3792, 0.7815)  1 Ru 2.61
Ru (0.6981, 0.6550, 0.9489)  2 Pm 2.61-2.81

Results
Volume, Å³ per cell: 313.3
Formation energy, eV per atom: 0.00
E_tot, eV/atom: -6.057
Magnetic moment, μB per formula unit: 0.00
Fermi-level density of states, states/eV/atom: 0.816

=====

Nd3Zn4Ni2 after structural relaxation, computed with GGA-PBE.

Cell: 4.5846 5.4454 8.3368 Å, 100.07 90.00 114.90°
Last column: nearest neighbours and their distance in Å.
Element x y z (fractional)
Zn (0.7117, 0.4235, 0.0827)  1 Ni 2.46
Zn (0.2883, 0.5765, 0.9173)  1 Ni 2.46
Ni (0.3145, 0.6291, 0.6293)  4 Zn 2.46-2.51
Nd (0.6186, 0.2372, 0.6967)  4 Ni 2.92-3.12, 6 Zn 3.08-3.20
Nd (0.3814, 0.7628, 0.3033)  4 Ni 2.92-3.12, 6 Zn 3.08-3.20
Zn (0.0999, 0.1998, 0.4109)  3 Ni 2.49-2.51, 1 Zn 2.69
Zn (0.9001, 0.8002, 0.5891)  3 Ni 2.49-2.51, 1 Zn 2.69
Ni (0.6855, 0.3709, 0.3707)  4 Zn 2.46-2.51
Nd (0.0000, 0.0000, 0.0000)  8 Zn 3.06-3.38

Results
Offset from the most stable computed form, meV/atom: 20.4
Volume, Å³ per cell: 185.3
Formation energy, eV per atom: -0.32
E_tot, eV/atom: -3.763
Magnetic moment, μB per formula unit: 0.00
Fermi-level density of states, states/eV/atom: 0.643

=====

La2CeH12Rh3 after structural relaxation, computed with GGA-PBE.

Cell: 6.2453 6.2453 6.2453 Å, 64.61 64.61 64.61°
Last column: nearest neighbours and their distance in Å.
Element x y z (fractional)
H (0.1360, 0.1360, 0.5728)  1 Rh 1.71
Rh (0.0000, 0.5000, 0.0000)  6 H 1.71-1.79
Rh (0.0000, 0.0000, 0.5000)  6 H 1.71-1.79
La (0.6135, 0.6135, 0.6135)  3 H 2.29
H (0.2840, 0.8822, 0.2840)  2 Rh 1.79